ISAKOS Research Grants Program

THANK YOU for your interest in the ISAKOS initiative for orthopaedic research and education. The purpose of the ISAKOS Research Grants Program is to provide ISAKOS members with a resource for funding the highest quality international research in arthroscopy, knee surgery and orthopaedic sports medicine. The applicant must be the principal investigator and an Active Member of ISAKOS in good standing.

ISAKOS Research Grants

The ISAKOS Research Grants are offered every two years. ISAKOS consider applications for four types of grants.

  • New Researcher - Four possible grants for eligible applications with scientific merit.
    • New Researcher grant qualification: has not received external funding over $15,000; no significant history of publication, presentations, or research/experiment participation.
  • Translational Research - Four possible grants for eligible applications with scientific merit.
    • Foster high quality clinical or translational research in early osteoarthritis and prevention, as well as treatment of osteoarthritis. 
    • Could include total knee replacement, osteotomy, meniscal transplant, OCD transplant, etc.
  • Clinical Outcomes - One grant for eligible applications with scientific merit.
    • Support outcomes research through well-designed clinical trials to evaluate the efficacy of interventions in orthopaedic sports medicine
    • Example: Level I - III study on biologics in Rotator Cuff repair
  • Countries with Limited Resources - Two possible grants for eligible applications with scientific merit.
    • Awarded to a Finalist from a Country with Limited Resources defined by the World Health Organization

The objective of the ISAKOS Research Grants is to encourage quality research in the topic areas of knee surgery, sports medicine and arthroscopy. Clinical relevance must be clearly noted in the abstract and specific aims and be obvious from the title and the study design. Both laboratory and clinical projects are suitable, but in either case clinical relevance must be explicitly and clearly described.

Past Winners

Who Should Apply?


The applicant must be the principal investigator and an Active Member of ISAKOS in good standing.

  • The orthopaedic surgeon/principal investigator must provide a statement on time to be allocated to the project indicating percent of average time allocated and how time will be spent. It is suggested that a timetable be provided as part of the Research Plan, to be included with the grant application.
  • All proposals must be clinical or translational, including the study of live patients, cadaveric models or animals.
  • Applicants are limited to one submission per individual for grant funding term.
  • ISAKOS will fund only one research grant per institution per year.
  • All members of the ISAKOS Grant Review Committee (IGRC) and the Executive Committee and their institutions are not eligible to apply. The ISAKOS Grant Review Committee (IGRC) consists of the Scientific Committee Chairs (Chair, Deputy Chair, and Immediate Past Chair). The Executive Committee will serve as final review of disputed winners. Elected Grants are sent to Executive Committee to confirm correct rules were followed for Review Process.
  • All members of Research Infrastructure Task Force are not eligible to apply. The Task Force will make recommendations related to international research collaborations and registries.

Important Dates

Application Available: May 1, 2025 - August 1, 2025
Grant Period: Annual upon receipt of notification
Grant Notification: ISAKOS will notify each applicant by letter/email
Grant Amount: $10,000 - $50,000 depending on Grant Type

Grant Application:

Please print, read and complete the following documents before starting the ISAKOS Research Grants online application.

  • Application Instructions
  • Form 1: Research Plan Word Doc
  • Form 2: Performance Sites & Resources Word Doc
  • Form 3: Key Personnel Word Doc
  • Form 4: Biographical Sketch for Key Personnel Word Doc
  • Form 5: Detailed Budget & Justification Word Doc
  • Form 6: Other Support Word Doc

ISAKOS Research Grants Policy

All ISAKOS Research Grants are expected to abide by the following Policy & Procedures


Please contact the Grants Administrator at the ISAKOS office
Contact Us

ISAKOS gratefully acknowledges the support for countries with limited resources provided by: Arthrex

=====
1.
Material: CaSn2Rh
Method: DFT, PBE
State: relaxed

a = 4.372 Å, b = 5.892 Å, c = 7.634 Å
α = 90.00°, β = 90.00°, γ = 111.78°
Sites, in units of the cell vectors:
Rh1 0.789 0.578 0.750
Rh2 0.211 0.422 0.250
Sn1 0.355 0.710 0.547
Sn2 0.355 0.710 0.953
Sn3 0.645 0.290 0.453
Sn4 0.645 0.290 0.047
Ca1 0.066 0.133 0.750
Ca2 0.934 0.867 0.250

## Properties
Energy of formation (kJ per mole of atoms): -63
Space group: Cmcm (63)
E_tot (eV/atom): -5.005

2.
Material: CaTbRh2
Method: DFT, PBE
State: relaxed

a = 4.850 Å, b = 4.850 Å, c = 4.850 Å
α = 60.00°, β = 60.00°, γ = 60.00°
Sites, in units of the cell vectors:
Rh1 0.750 0.750 0.750
Rh2 0.250 0.250 0.250
Tb1 0.000 0.000 0.000
Ca1 0.500 0.500 0.500

## Properties
Energy of formation (kJ per mole of atoms): -59
Space group: Fm-3m (225)
E_tot (eV/atom): -5.949

3.
Material: CaThRh2
Method: DFT, PBE
State: relaxed

a = 4.951 Å, b = 4.951 Å, c = 4.951 Å
α = 60.00°, β = 60.00°, γ = 60.00°
Sites, in units of the cell vectors:
Th1 0.000 0.000 0.000
Rh1 0.250 0.250 0.250
Rh2 0.750 0.750 0.750
Ca1 0.500 0.500 0.500

## Properties
Energy of formation (kJ per mole of atoms): -62
Space group: Fm-3m (225)
E_tot (eV/atom): -6.683

4.
Material: CaTmRh2
Method: DFT, PBE
State: relaxed

a = 4.794 Å, b = 4.794 Å, c = 4.794 Å
α = 60.00°, β = 60.00°, γ = 60.00°
Sites, in units of the cell vectors:
Ca1 0.500 0.500 0.500
Tm1 0.000 0.000 0.000
Rh1 0.250 0.250 0.250
Rh2 0.750 0.750 0.750

## Properties
Energy of formation (kJ per mole of atoms): -63
Space group: Fm-3m (225)
E_tot (eV/atom): -5.959

5.
Material: CaYRh2
Method: DFT, PBE
State: relaxed

a = 4.854 Å, b = 4.854 Å, c = 4.854 Å
α = 60.00°, β = 60.00°, γ = 60.00°
Sites, in units of the cell vectors:
Y1 0.000 0.000 0.000
Ca1 0.500 0.500 0.500
Rh1 0.750 0.750 0.750
Rh2 0.250 0.250 0.250

## Properties
Energy of formation (kJ per mole of atoms): -58
Space group: Fm-3m (225)
E_tot (eV/atom): -6.400

6.
Material: CaZrRh2
Method: DFT, PBE
State: relaxed

a = 4.728 Å, b = 4.728 Å, c = 4.728 Å
α = 60.00°, β = 60.00°, γ = 60.00°
Sites, in units of the cell vectors:
Zr1 0.500 0.500 0.500
Rh1 0.750 0.750 0.750
Rh2 0.250 0.250 0.250
Ca1 0.000 0.000 0.000

## Properties
Energy of formation (kJ per mole of atoms): -55
Space group: Fm-3m (225)
E_tot (eV/atom): -6.890

~~~~~

Density functional theory data (meta-GGA r2SCAN) for LiY2Os after structural relaxation.

Properties
Its spin magnetization is 0.0 μB/cell. The total energy is -24.23 eV per atom. The formation energy from the elements is -21.8 kJ per mole of atoms.

abc: 6.9327 6.9327 6.9327
angles: 90.00 90.00 90.00
With the nearest neighbours (Å) after each atom.
Space group Fm-3m (No. 225)
Unique sites:
Li 0.0000 0.0000 0.0000 (multiplicity 4)  8 Y 3.00
Y 0.2500 0.2500 0.2500 (multiplicity 8)  4 Li 3.00, 4 Os 3.00
Os 0.0000 0.0000 0.5000 (multiplicity 4)  8 Y 3.00


Density functional theory data (meta-GGA r2SCAN) for FeSbSe after structural relaxation.

Properties
=====
**The calculated crystals stop here:**

Supported in part by an educational grant from contributing sponsor: Smith+Nephew